# Excerpt
No. 1
# NdHfSn
Calculated powder XRD pattern, CuKα. Input: a structure optimized by DFT (PBE).
Lines closer than 0.1° are merged.

Main lines, sorted by position (2θ from 10° to 80°):
- 2θ = 10.43°, rel. 31, hkl 0 0 2
- 2θ = 30.60°, rel. 89, hkl 1 1 2
- 2θ = 31.66°, rel. 29, hkl 0 0 6
- 2θ = 33.35°, rel. 37, hkl 1 0 5
- 2θ = 35.79°, rel. 100, hkl 1 1 4
- 2θ = 41.01°, rel. 58, hkl 2 0 0
- 2θ = 52.71°, rel. 28, hkl 2 0 6
- 2θ = 53.85°, rel. 19, hkl 2 1 5
- 2θ = 59.38°, rel. 20, hkl 2 2 0
- 2θ = 71.31°, rel. 28, hkl 3 1 4

Atomic structure:
```
data_NdHfSn
_cell_length_a 4.4020
_cell_length_b 4.4020
_cell_length_c 16.9557
_cell_angle_alpha 90.00
_cell_angle_beta 90.00
_cell_angle_gamma 90.00
_symmetry_space_group_name_H-M 'I 4/m m m'
_symmetry_Int_Tables_number 139
_symmetry_space_group_name_Hall '-I 4 2'
loop_
_atom_site_label
_atom_site_type_symbol
_atom_site_fract_x
_atom_site_fract_y
_atom_site_fract_z
Nd1 Nd 0.0000 0.0000 0.1753
Hf1 Hf 0.0000 0.5000 0.0000
Sn1 Sn 0.0000 0.0000 0.3748
```



No. 2
# Nd2HfTe5
Calculated powder XRD pattern, CuKα. Input: a structure optimized by DFT (PBE).
Lines closer than 0.1° are merged.

Main lines, sorted by position (2θ from 10° to 80°):
- 2θ = 11.82°, rel. 62, hkl 0 2 0
- 2θ = 15.82°, rel. 88, hkl 1 1 0
- 2θ = 21.90°, rel. 76, hkl 0 2 3
- 2θ = 29.58°, rel. 90, hkl 2 0 0
- 2θ = 30.20°, rel. 100, hkl 0 4 3
- 2θ = 33.99°, rel. 40, hkl 1 3 4
- 2θ = 37.11°, rel. 39, hkl 2 2 3
- 2θ = 38.37°, rel. 40, hkl 1 5 3
- 2θ = 42.79°, rel. 77, hkl 2 4 3
- 2θ = 45.42°, rel. 28, hkl 1 7 1

Atomic structure:
```
data_Nd2HfTe5
_cell_length_a 6.0391
_cell_length_b 14.9764
_cell_length_c 14.4900
_cell_angle_alpha 90.00
_cell_angle_beta 90.00
_cell_angle_gamma 90.00
_symmetry_space_group_name_H-M 'C m c m'
_symmetry_Int_Tables_number 63
_symmetry_space_group_name_Hall '-C 2c 2'
loop_
_atom_site_label
_atom_site_type_symbol
_atom_site_fract_x
_atom_site_fract_y
_atom_site_fract_z
Nd1 Nd 0.0000 0.1527 0.0610
Hf1 Hf 0.0000 0.1866 0.7500
Te1 Te 0.0000 0.0463 0.6228
Te2 Te 0.0000 0.2759 0.2500
Te3 Te 0.0000 0.3116 0.5923
```



No. 3
# NdHfTh2
Calculated powder XRD pattern, CuKα. Input: a structure optimized by DFT (PBE).
Lines closer than 0.1° are merged.

Main lines, sorted by position (2θ from 10° to 80°):
- 2θ = 30.05°, rel. 27, hkl 0 1 2
- 2θ = 31.41°, rel. 52, hkl 0 0 12
- 2θ = 32.42°, rel. 100, hkl 0 1 5
- 2θ = 34.94°, rel. 60, hkl 1 0 7
- 2θ = 39.84°, rel. 27, hkl 1 0 10
- 2θ = 52.49°, rel. 38, hkl 1 1 0
- 2θ = 54.86°, rel. 26, hkl 0 1 17
- 2θ = 62.46°, rel. 39, hkl 1 1 12
- 2θ = 63.06°, rel. 15, hkl 2 0 5
- 2θ = 67.85°, rel. 15, hkl 1 0 22

Atomic structure:
```
data_NdHfTh2
_cell_length_a 3.4865
_cell_length_b 3.4865
_cell_length_c 34.1786
_cell_angle_alpha 90.00
_cell_angle_beta 90.00
_cell_angle_gamma 120.00
_symmetry_space_group_name_H-M 'R 3 m'
_symmetry_Int_Tables_number 160
_symmetry_space_group_name_Hall 'R 3 -2"'
loop_
_atom_site_label
_atom_site_type_symbol
_atom_site_fract_x
_atom_site_fract_y
_atom_site_fract_z
Nd1 Nd 0.0000 0.0000 0.0000
Hf1 Hf 0.0000 0.0000 0.1691
Th1 Th 0.0000 0.0000 0.5800
Th2 Th 0.0000 0.0000 0.7565
```



No. 4
# NdY2Hf
Calculated powder XRD pattern, CuKα. Input: a structure optimized by DFT (PBE).
Lines closer than 0.1° are merged.

Main lines, sorted by position (2θ from 10° to 80°):
- 2θ = 15.57°, rel. 20, hkl 0 0 6
- 2θ = 29.83°, rel. 16, hkl 1 0 1
- 2θ = 30.18°, rel. 31, hkl 0 1 2
- 2θ = 31.44°, rel. 44, hkl 0 0 12
- 2θ = 32.54°, rel. 100, hkl 0 1 5
- 2θ = 35.06°, rel. 66, hkl 1 0 7
- 2θ = 39.95°, rel. 23, hkl 1 0 10
- 2θ = 52.73°, rel. 33, hkl 1 1 0
- 2θ = 54.98°, rel. 23, hkl 0 1 17
- 2θ = 62.70°, rel. 37, hkl 1 1 12

Atomic structure:
```
data_NdY2Hf
_cell_length_a 3.4717
_cell_length_b 3.4717
_cell_length_c 34.1464
_cell_angle_alpha 90.00
_cell_angle_beta 90.00
_cell_angle_gamma 120.00
_symmetry_space_group_name_H-M 'R 3 m'
_symmetry_Int_Tables_number 160
_symmetry_space_group_name_Hall 'R 3 -2"'
loop_
_atom_site_label
_atom_site_type_symbol
_atom_site_fract_x
# Brief
What is needed: count the lines earlier on that contain the word "No" and give the number alone.
# Solution
4